Woman Crush Wednesday! Yipee! And yes if you couldn’t tell today is and forever shall be my favorite day of the week. It’s because of the famous foodie infatuation that happens when we honor our favorite women chefs. However since I am on my way to see my favorite peeps (aka family) than I guess we shall forgo the usual craic in the kitchen accompanied by bad singing and bad dancing (but always good recipes) if that is okay… just this once.
I thought it might be a good idea to take a little walk back in time over these last two months and see just how much love we have been throwing around the kitchen. We have met seven beautiful and talented chefs, whom we have learned about and have learned from, on this journey. Just to make it a bit easier (as I know my blog has yet to flesh itself out organizationally speaking) I will include links to all my previous posts in the recap of each of the recipients.
### Here the article breaks off for materials data
********
# 1
Computed, not measured: an optimized crystal structure of Co2WAu at the PBE level of DFT.

Values from the calculation:
For the volume, the calculation gives 13.935 A^3/atom. Its total energy is -7.101 eV per atom. Its crystal system is cubic. Its spin magnetization is 2.45 Bohr magnetons per cell.

Cell: 4.2877 4.2877 4.2877 Å, 60.00 60.00 60.00°
Closest atoms and distances in Å follow each position.
Atoms (fractional coordinates):
W 0.5000 0.5000 0.5000  4 Co 2.63, 4 Au 2.63
Co 0.0000 0.0000 0.0000  4 Co 2.63, 4 Au 2.63
Co 0.7500 0.7500 0.7500  4 W 2.63, 4 Co 2.63
Au 0.2500 0.2500 0.2500  4 W 2.63, 4 Co 2.63


# 2
Computed, not measured: an optimized crystal structure of PmCd4Sb2 at the PBE level of DFT.

Values from the calculation:
For the volume, the calculation gives 26.097 A^3/atom. Its total energy is -2.370 eV per atom. Its crystal system is tetragonal. Its spin magnetization is 0.00 Bohr magnetons per cell.

Cell: 6.2719 6.2719 6.2719 Å, 103.47 103.47 122.28°
Closest atoms and distances in Å follow each position.
Atoms (fractional coordinates):
Cd 0.3076 0.6924 0.0000  4 Cd 2.99-3.28, 4 Sb 3.20
Cd 0.3076 0.3076 0.6152  4 Cd 2.99-3.28, 4 Sb 3.20
Cd 0.6924 0.3076 0.0000  4 Cd 2.99-3.28, 4 Sb 3.20
Cd 0.6924 0.6924 0.3848  4 Cd 2.99-3.28, 4 Sb 3.20
Sb 0.2500 0.7500 0.5000  2 Sb 3.03, 8 Cd 3.20
Sb 0.7500 0.2500 0.5000  2 Sb 3.03, 8 Cd 3.20
Pm 0.0000 0.0000 0.0000  12 Cd 3.38-3.69


# 3
Computed, not measured: an optimized crystal structure of PrAlCdNi at the PBE level of DFT.

Values from the calculation:
For the volume, the calculation gives 20.323 A^3/atom. Its total energy is -4.154 eV per atom. Its crystal system is orthorhombic. Its spin magnetization is 0.00 Bohr magnetons per cell.

Cell: 7.5976 5.4465 5.4465 Å, 46.17 90.00 90.00°
Closest atoms and distances in Å follow each position.
Atoms (fractional coordinates):
Cd 0.3003 0.8542 0.8542  3 Ni 2.71-2.78, 2 Al 3.02, 1 Cd 3.03
Cd 0.6997 0.8542 0.8542  3 Ni 2.71-2.78, 2 Al 3.02, 1 Cd 3.03
Al 0.8085 0.1579 0.1579  3 Ni 2.56-2.63
Al 0.1915 0.1579 0.1579  3 Ni 2.56-2.63
Ni 0.0000 0.7080 0.7080  4 Al 2.63, 1 Pr 2.66, 2 Cd 2.71
Ni 0.5000 0.2611 0.2611  2 Al 2.56, 4 Cd 2.78
Pr 0.0000 0.4428 0.4428  1 Ni 2.66
Pr 0.5000 0.5639 0.5639  3 Ni 2.91-3.03


# 4
Computed, not measured: an optimized crystal structure of RbAlZn at the PBE level of DFT.

Values from the calculation:
For the volume, the calculation gives 35.583 A^3/atom. Its total energy is -1.340 eV per atom. Its crystal system is cubic.

Cell: 5.3247 5.3247 5.3247 Å, 60.00 60.00 60.00°
Closest atoms and distances in Å follow each position.
Atoms (fractional coordinates):
Al 0.0000 0.0000 0.0000  4 Rb 3.26, 4 Zn 3.26
Rb 0.2500 0.2500 0.2500  4 Al 3.26
Zn 0.7500 0.7500 0.7500  4 Al 3.26

----------

## w
# In3HW

An optimized crystal structure of In3HW (GGA-PBE, the Alexandria database).

## Properties
* total moment: 1.85 μB/f.u.

CIF file:
```
data_In3HW
_chemical_formula_sum 'In3 H1 W1'
_cell_length_a 4.444
_cell_length_b 4.444
********
### End of the materials data
Our first three women hailed from my soul home the Emerald Isle! We started off with the super sweet (minus the refined sugar) Susan Jane White. And what an inaugural #WCW! We sure had fun making her delicious and nutritious treats. Here is the link if you want to take a gander at the gorgeousness (hers and the megawatt breakfast bars)! Just be forewarned, you WILL fall in love with her dimples! And you wouldn’t meet a nicer person! She’s a keeper! So is her latest book The Virtuous Tart which is on the short list at this year’s Irish Book Awards.

Next we stepped into the shoes of Rachel Allen, one of my beloved former Ballymaloe Cookery School teachers. She elegantly guided us through the most stunning Broccoli Soup, and one look at her flawless face and you too will be stunned! Wowza! Here is the link and I guarantee you, besides drooling over her photos, you will want to give the soup a go! Especially with all these cold storms blowing in these days! Yet she braved stormy seas for her new book, Coast, also recently announced as a nominee at the Irish Book Awards.
# Someone pasted data records at this point
........
Entry 1:
The following is a GGA-PBE calculation of Ni2Sb2Pb after structural relaxation, from Alexandria via LeMat-Bulk.

Cell and atoms, written as extended XYZ:
```
10
Lattice="4.4547 0.0000 0.0000 0.0000 4.4547 0.0000 0.0000 0.0000 10.8780" Properties=species:S:1:pos:R:3 pbc="T T T"
Ni 0.0000 2.2274 2.7195
Ni 0.0000 2.2274 8.1585
Ni 2.2274 0.0000 2.7195
Ni 2.2274 0.0000 8.1585
Sb 0.0000 0.0000 1.5082
Sb 0.0000 0.0000 9.3698
Sb 2.2274 2.2274 3.9308
Sb 2.2274 2.2274 6.9471
Pb 0.0000 0.0000 5.4390
Pb 2.2274 2.2274 0.0000
```

Results
Formation energy (no corrections), eV per formula unit: -0.02
D(E_F), states/eV/cell: 5.55
Excess energy over the best structure of this formula in the dataset, meV/atom: 0.0
Theoretical density, kg/m³: 8740


Entry 2:
The following is a GGA-PBE calculation of NiSb2Pb2 after structural relaxation, from Alexandria via LeMat-Bulk.

Cell and atoms, written as extended XYZ:
```
10
Lattice="6.6773 0.0000 0.0000 0.0000 6.6773 0.0000 0.0000 0.0000 6.0191" Properties=species:S:1:pos:R:3 pbc="T T T"
Ni 0.0000 0.0000 0.0000
Ni 3.3387 3.3387 0.0000
Sb 1.0349 2.3038 0.0000
Sb 2.3038 5.6424 0.0000
Sb 4.3736 1.0349 0.0000
Sb 5.6424 4.3736 0.0000
Pb 1.3577 4.6964 3.0096
Pb 1.9809 1.3577 3.0096
Pb 4.6964 5.3196 3.0096
Pb 5.3196 1.9809 3.0096
```

Results
Formation energy (no corrections), eV per formula unit: 0.25
D(E_F), states/eV/cell: 6.05
Theoretical density, kg/m³: 8868


Entry 3:
The following is a GGA-PBE calculation of NiSbPb after structural relaxation, from Alexandria via LeMat-Bulk.

Cell and atoms, written as extended XYZ:
```
6
Lattice="3.2485 0.0000 0.0000 0.0000 3.2485 0.0000 0.0000 0.0000 12.9832" Properties=species:S:1:pos:R:3 pbc="T T T"
Ni 0.0000 0.0000 0.0000
Ni 1.6242 1.6242 6.4916
Sb 0.0000 0.0000 7.8581
Sb 1.6242 1.6242 1.3664
Pb 0.0000 0.0000 4.5284
Pb 1.6242 1.6242 11.0200
```

Results
Formation energy (no corrections), eV per formula unit: 0.05
D(E_F), states/eV/cell: 2.50
Theoretical density, kg/m³: 9397


Entry 4:
The following is a GGA-PBE calculation of Ni2SbPb2 after structural relaxation, from Alexandria via LeMat-Bulk.

Cell and atoms, written as extended XYZ:
```
10
Lattice="7.0181 0.0000 0.0000 0.0000 7.0181 0.0000 0.0000 0.0000 4.2180" Properties=species:S:1:pos:R:3 pbc="T T T"
Ni 0.9354 2.5736 0.0000
Ni 2.5736 6.0826 0.0000
Ni 4.4444 0.9354 0.0000
Ni 6.0826 4.4444 0.0000
Sb 0.0000 0.0000 0.0000
Sb 3.5090 3.5090 0.0000
Pb 1.1557 4.6647 2.1090
Pb 2.3533 1.1557 2.1090
Pb 4.6647 5.8623 2.1090
Pb 5.8623 2.3533 2.1090
```

Results
Formation energy (no corrections), eV per formula unit: 0.78
D(E_F), states/eV/cell: 7.15
Theoretical density, kg/m³: 10448


Entry 5:
The following is a GGA-PBE calculation of NiSbPb2 after structural relaxation, from Alexandria via LeMat-Bulk.

Cell and atoms, written as extended XYZ:
```
8
Lattice="15.4867 0.0000 0.0000 0.0000 3.3624 0.0000 -1.0663 0.0000 3.9453" Properties=species:S:1:pos:R:3 pbc="T T T"
Ni 0.0000 0.0000 0.0000
Ni 7.7434 1.6812 0.0000
........
# The article goes on
Our third honoree was none other than the lovely Trish Deseine. A legend in the culinary world, Trish’s return to her homeland after many years living in Paris has come with more than open arms. The good news she was back on Irish soil was fortified by the “Land of a Thousand Welcomes” with a nomination for her book Home. Here is the link to our epistle on her ethereal self, which also includes her most amazing apple cake recipe that we made on the day.
YDP flew over the Irish Sea to the UK for the next #WCW star. Or shall I say, stars! Yes we honored the Hemsley Sisters and discovered the secret to their smarts, stamina and striking looks! They do indulge in great food, but with a conscience. So we followed their lead and made some of their nom nom Black Bean Brownies! Check out this link if you want to be amazed at their ascent into the posh pages of Brit magazines and give their recipe a whirl. You won’t regret it! One thing I will never regret is meeting the sisters at the Feastival this past summer. Doubly delicious!
The next Brit who got some lovin’ was the most adorable and approachable Sabrina Ghayour. Quite honestly I can’t say enough good things about her as she continually bowls me over with her kindness…and her kick-A food! This girl can cook! I was lucky enough to attend one of her cooking demonstrations. Trust me all her recipes are da bomb! Open her book Persiana with your eyes closed and choose anything. You will love it. But I like to think just cuz it’s cold outside doesn’t mean we can’t have a salad! So for our lovefest with Sabrina we made a sexy fig and green bean number that would knock your winter wooly socks off! Here is the link if you are in the mood.
Our last English Rose was the positively upbeat powerhouse that is Lorraine Pascale. Her series of books, all with “made easy” in the title, is quite a feat. Especially since life hasn’t been easy for her. But you would never know it. Her smile would light the world if ever there were a global power outage. And her food is freaking fantastic. We crushed all over her delectable banana and rum loaf. Here is the link because you will want to make this and get to know her as well! Get ready for some great inspo!
Finally we headed stateside for our first American chef. But here is the twist, Laura Vitale was actually born in Italy and moved to the U.S. at twelve years of age. So she is a dual citizen like I am! It is great to get to know someone else who is extremely patriotic about both halves. She is a real go-getter and racks up recipes like nobody’s business! We made her cauliflower cheese gratin, which is a real winner just like she is. Check out the link for yourself and enjoy this comfort food recipe in the comfort of your own home.
While I’ve had the pleasure of meeting in person three of our honorees (which actually is four because of the Hemsley’s) I want to introduce you to someone who deserves a #WCW honor all to herself. I briefly mentioned something about her in the #WCW post featuring Lorraine Pascale. Dr. Stacy Smith, a most incredible human being and dear friend of mine, is making her own mark in the world. However, not in the culinary sphere but in communication. She is the foremost authority on media analysis studies. She began her career doing groundbreaking work on violence on television and its affects on children. Next she focused her research on over sexualization in children’s programing (yeah, Disney, you had your day under Stacy’s microscope). The last several years have seen the most eye opening data coming out of Dr. Smith’s Media, Diversity, & Social Change Initiative at the University of Southern California. And the most specific area she is working on at the moment has to do with gender equality in Hollywood. She and her team painstakingly comb through the top 100 films each year and track the number of roles for women. Not only the roles we see on screen but also the writers, directors and other “below the line” folks on the credits. Her reports are quoted by any number of news outlets everyday. When she speaks, the world takes notice! By brining to light the struggles of women trying to climb the ladder of success in Hollywood (and let’s face it who doesn’t like a bit of news from tinsel town) this call to action could help bridge the gender employment and compensation disparity.
(Next to the piece, the page also holds materials data)
## Tb5Pm3Sm4 (GGA-PBE)

Data for an optimized crystal structure of Tb5Pm3Sm4.

Cell: 7.2080 11.4019 13.0011 Å, 151.30 56.37 129.24°
With the nearest neighbours (Å) after each atom.
Positions (direct):
Pm1 0.0000 0.0000 0.5000  8 Tb 3.60-3.61, 2 Sm 3.60, 2 Pm 3.60
Pm2 0.5826 0.1655 0.3329  5 Tb 3.59-3.62, 6 Sm 3.60-3.62, 1 Pm 3.60
Pm3 0.4174 0.8345 0.6671  5 Tb 3.59-3.62, 6 Sm 3.60-3.62, 1 Pm 3.60
Tb1 0.7503 0.5003 0.0003  3 Sm 3.59-3.60, 6 Tb 3.59-3.61, 3 Pm 3.60-3.61
Tb2 0.5000 0.0000 0.5000  4 Sm 3.59-3.61, 4 Pm 3.60, 4 Tb 3.60-3.61
Tb3 0.3323 0.6664 0.8343  4 Pm 3.59-3.62, 3 Tb 3.59-3.61, 5 Sm 3.60-3.62
Tb4 0.2497 0.4997 0.9997  3 Sm 3.59-3.60, 6 Tb 3.59-3.61, 3 Pm 3.60-3.61
Tb5 0.6677 0.3336 0.1657  4 Pm 3.59-3.62, 3 Tb 3.59-3.61, 5 Sm 3.60-3.62
Sm1 0.9167 0.8349 0.6676  5 Tb 3.59-3.62, 4 Pm 3.60-3.62, 3 Sm 3.60-3.62
Sm2 0.8322 0.6645 0.8326  5 Tb 3.59-3.61, 4 Sm 3.60-3.63, 3 Pm 3.60-3.62
Sm3 0.0833 0.1651 0.3324  5 Tb 3.59-3.62, 4 Pm 3.60-3.62, 3 Sm 3.60-3.62
Sm4 0.1678 0.3355 0.1674  5 Tb 3.59-3.61, 4 Sm 3.60-3.63, 3 Pm 3.60-3.62

Values from the calculation:
Uncorrected energy = -4.677 eV per atom
Energy of formation from the pure elements = 0.013 eV per atom
(The piece goes on)
I pointed out to her that it isn’t just the film industry that deals with this issue. The culinary world has been dominated by men for as long as anyone can remember. Which is ironic considering that cooking in the home was traditionally the woman’s domain. The women who have climbed up the soup ladles (my term for the proverbial ladder in a professional kitchen) know all too well the challenges. However, in this fab article by L.A. chef Suzanne Goin, sometimes you gotta just get stuck in and deal with it! Have a read here for yourself.
By the way, for the record, though I am feminine, I am not a feminist. I am a humanist (if that is what you call it). I believe in equality not just for gender, but for race and religion too. However, because at present it isn’t so, some people are doing their part to bring attention to the situation. Stacy is not out walking a picket line. But she is in the lab objectively analyzing the facts, about which no one can argue. Likewise, I am not out on a picket line. But I try to bring a little sparkle to our special gourmet girls. Nothing against the men in the foodie world. They are ‘totes amazo’ and they do get loads of attention from all over the place. And I love them too. But the only man you will see me crush on is my hubby! And because he crushes on me too, he asked if I would share something with you.
I wasn’t sure I would actually post a proper link to these videos even though I might have causally mentioned it. Hubby rarely asks for anything, and he specifically asked me to do this. Not just because he filmed and edited them did he want me to share them, but because he is my #1 fan! Even though he spends hours upon hours (in his spare time) filming and editing these, he still laughs at my quirky bits. I guess it is a good sign when your Hubby still likes your dorky dance moves. So without further ado, below are the direct links to two cooking demos from yours truly, Yankee Doodle Paddy. But I’m giving you fair warning…be prepared for bad singing, bad dancing, but some darn good recipes! For those of you who follow me on snapchat (username: blissbakery) this is nothing new. You have to deal with these wacky food installments on a regular basis! Especially on Woman Crush Wednesday. Too bad the snapchat video stories disappear within 24 hours. It’s a total “Love-apolooza”! LOL! And with a few more demos in the can (aka already filmed ready to be edited) you will be seeing more very soon! Enjoy!
Posh Nosh: Bacon Wrapped Dates
Weekend Wonder: Pumpkin Pancakes
Crushed up love,
P.S. By the way, since three of our amazing ladies are up for awards for their books, here is a link if you would be so kind as to place a vote. The deadline is this Friday the 20th of November. The awards will be announced at a gala event on the 25th. Thanks in advance for your support of the Irish contingent of our Woman Crush Wednesday recipients. Best of luck to them too!